Contents =
'''
Here is Ho4Ga12Fe after structural relaxation from Materials Project. Energies are from r²SCAN.

Values from the calculation:
SG: No. 229
DFT formation energy in eV/atom: -0.556

abc: 7.3599 7.3599 7.3599
angles: 109.47 109.47 109.47
Sites, in units of the cell vectors:
Ho 0.0000 0.0000 0.5000
Ho 0.0000 0.5000 0.0000
Ho 0.5000 0.0000 0.0000
Ho 0.5000 0.5000 0.5000
Ga 0.0000 0.2893 0.2893
Ga 0.0000 0.7107 0.7107
Ga 0.2500 0.5000 0.7500
Ga 0.2500 0.7500 0.5000
Ga 0.2893 0.0000 0.2893
Ga 0.2893 0.2893 0.0000
Ga 0.5000 0.2500 0.7500
Ga 0.5000 0.7500 0.2500
Ga 0.7107 0.0000 0.7107
Ga 0.7107 0.7107 0.0000
Ga 0.7500 0.2500 0.5000
Ga 0.7500 0.5000 0.2500
Fe 0.0000 0.0000 0.0000
'''
Wanted =
Next, write out the material further above character by character.
Written answer =
Here is Ho4Ga12Fe after structural relaxation from Materials Project. Energies are from r²SCAN.

Values from the calculation:
SG: No. 229
DFT formation energy in eV/atom: -0.556

abc: 7.3599 7.3599 7.3599
angles: 109.47 109.47 109.47
Sites, in units of the cell vectors:
Ho 0.0000 0.0000 0.5000
Ho 0.0000 0.5000 0.0000
Ho 0.5000 0.0000 0.0000
Ho 0.5000 0.5000 0.5000
Ga 0.0000 0.2893 0.2893
Ga 0.0000 0.7107 0.7107
Ga 0.2500 0.5000 0.7500
Ga 0.2500 0.7500 0.5000
Ga 0.2893 0.0000 0.2893
Ga 0.2893 0.2893 0.0000
Ga 0.5000 0.2500 0.7500
Ga 0.5000 0.7500 0.2500
Ga 0.7107 0.0000 0.7107
Ga 0.7107 0.7107 0.0000
Ga 0.7500 0.2500 0.5000
Ga 0.7500 0.5000 0.2500
Fe 0.0000 0.0000 0.0000